Page 38 of Her Filthy Italians

Unrelated to this piece: materials data =
No. 1
# Na10Sc7NbSi6S6O48

A relaxed Na10Sc7NbSi6S6O48 crystal (PBE, the Materials Project database).

## Properties
As for the space group: P1, No. 1. The value obtained for the formation energy is -2811.4 meV/atom. The calculation puts the total moment at 0.00 μB per cell.

Cell lengths 18.147, 9.072, 22.910 Å; angles 90.19, 89.69, 119.91 degrees
Fractional coordinates of all 234 atoms:
O (0.742, 0.358, 0.143)
O (0.934, 0.510, 0.420)
O (0.587, 0.478, 0.253)
O (0.224, 0.304, 0.030)
O (0.819, 0.488, 0.920)
O (0.656, 0.482, 0.754)
O (0.081, 0.661, 0.076)
O (0.092, 0.985, 0.913)
O (0.235, 0.350, 0.136)
O (0.157, 0.457, 0.470)
O (0.989, 0.825, 0.090)
O (0.245, 0.327, 0.747)
O (0.316, 0.487, 0.921)
O (0.321, 0.130, 0.422)
O (0.745, 0.131, 0.920)
O (0.348, 0.157, 0.746)
O (0.318, 0.515, 0.641)
O (0.680, 0.506, 0.079)
O (0.738, 0.116, 0.636)
O (0.512, 0.813, 0.697)
O (0.757, 0.833, 0.753)
O (0.753, 0.670, 0.576)
O (0.240, 0.166, 0.240)
O (0.405, 0.841, 0.196)
O (0.601, 0.172, 0.810)
O (0.515, 0.205, 0.910)
O (0.062, 0.650, 0.364)
O (0.407, 0.018, 0.801)
O (0.578, 0.685, 0.471)
O (0.673, 0.877, 0.861)
O (0.397, 0.971, 0.413)
O (0.761, 0.868, 0.080)
O (0.268, 0.846, 0.756)
O (0.391, 0.971, 0.696)
O (0.245, 0.131, 0.922)
O (0.483, 0.786, 0.802)
O (0.155, 0.855, 0.969)
O (0.566, 0.484, 0.577)
O (0.946, 0.534, 0.145)
O (0.488, 0.819, 0.095)
O (0.818, 0.521, 0.645)
O (0.680, 0.871, 0.576)
O (0.901, 0.973, 0.692)
O (0.939, 0.369, 0.644)
O (0.014, 0.192, 0.193)
O (0.085, 0.189, 0.695)
O (0.059, 0.475, 0.862)
O (0.083, 0.474, 0.255)
O (0.175, 0.483, 0.078)
O (0.350, 0.549, 0.524)
O (0.440, 0.520, 0.145)
O (0.563, 0.648, 0.356)
O (0.244, 0.360, 0.420)
O (0.728, 0.148, 0.531)
O (0.270, 0.852, 0.469)
O (0.098, 0.175, 0.089)
O (0.761, 0.701, 0.255)
O (0.487, 0.167, 0.307)
O (0.069, 0.681, 0.470)
O (0.913, 0.285, 0.530)
O (0.919, 0.548, 0.030)
O (0.590, 0.971, 0.197)
O (0.440, 0.359, 0.637)
O (0.764, 0.878, 0.364)
O (0.731, 0.151, 0.242)
O (0.558, 0.478, 0.863)
O (0.572, 0.454, 0.968)
O (0.845, 0.174, 0.742)
O (0.486, 0.176, 0.590)
O (0.591, 0.202, 0.412)
O (0.916, 0.034, 0.803)
O (0.607, 0.030, 0.302)
O (0.912, 0.837, 0.912)
O (0.426, 0.305, 0.532)
O (0.012, 0.811, 0.695)
O (0.821, 0.134, 0.421)
O (0.343, 0.146, 0.032)
O (0.104, 0.183, 0.812)
O (0.261, 0.876, 0.363)
O (0.825, 0.120, 0.139)
O (0.900, 0.980, 0.414)
O (0.600, 0.019, 0.588)
O (0.323, 0.117, 0.138)
O (0.934, 0.349, 0.923)
O (0.092, 0.019, 0.594)
O (0.681, 0.473, 0.362)
O (0.250, 0.651, 0.577)
O (0.412, 0.025, 0.087)
O (0.175, 0.477, 0.364)
O (0.077, 0.689, 0.755)
O (0.011, 0.821, 0.415)
O (0.019, 0.209, 0.913)
O (0.587, 0.190, 0.695)
O (0.772, 0.861, 0.470)
O (0.262, 0.698, 0.256)
O (0.257, 0.636, 0.857)
O (0.264, 0.687, 0.972)
O (0.415, 0.304, 0.244)
O (0.745, 0.352, 0.423)
O (0.075, 0.465, 0.967)
O (0.579, 0.700, 0.757)
O (0.589, 0.162, 0.094)
O (0.989, 0.795, 0.800)
O (0.980, 0.165, 0.306)
O (0.917, 0.793, 0.305)
O (0.757, 0.638, 0.859)
O (0.505, 0.836, 0.415)
O (0.591, 0.986, 0.912)

I withdraw and flip her onto her back, covering her with my body while Marco kisses her softly… her eyes, the end of her nose, her lips. I fuck her more slowly now, circling my hips as I dive in, my pelvis rubbing against her clit. I want to come, but I won’t let myself. Not until she has climaxed again, which she does with a massive shudder, my cock deep inside her and Marco’s mouth on hers while he swallows her moans.

Finally, I allow myself to thrust hard, slamming into her a dozen or so more times. A growl tears through my lungs as I quake on top of her, my dick jerking and filling her with my cum.

Marco slides himself underneath me, next to her and I flop down on top of them. We kiss, the three of us, and then lie in a panting heap. Their legs hook over my hips, their cheeks nuzzle my chest. I run my fingers up and down their sides. We’re sweaty and stink of sex, but I don’t want to detach myself from them.

This is perfect, more perfect than anything I’ve experienced in my life.

The thought blooms in my mind like a flower. Too precious to be spoken about yet. Would it be possible for Marco and me to have a future with Sefi? I will talk to him about it tomorrow. The soft sound of his snores tell me that he has already fallen asleep.Chapter Twenty-FourMarcoWhere the fuck is Giorgio? Why isn’t he picking up his fucking phone? I’ve been trying to get hold of him for the past hour. Sefi hasn’t been answering my calls. At first, I thought she must still be sleeping. But it’s mid-afternoon now. She’s probably forgotten to charge her telefonino, but, even so, I’m worried. I want him to go and see if she’s okay.

Finally, he picks up and I bark out my request. “How soon before you can get there?”

“Don’t worry, signore. I’m on my way back to the palazzo with a grocery order your mother asked me to collect for her. I can check on the signorina in about thirty minutes.”

I thank him and disconnect the call. I’m overreacting, I hope…

There’s a pile of paperwork on my desk, and I try to distract myself, try to focus on profit forecasts and tax projections. But I have a hard time sitting still. I get to my feet and pace the floor, checking my watch again and again.

The longest thirty minutes of my life.

My phone buzzes.


His rapid breaths come down the line. “The signorina is not answering your doorbell,” he blurts out.

Fucking fuck.

“Are my parents there?” My voice is shrill in my ears.

Next to the page, the page also holds crystal structures >
~~~
1.
! SrCa7TiMn7O23, relaxed, DFT PBE+U; values from VASP
! - energy (eV per atom) = -7.09
! - crystal system = monoclinic
! - symmetry = Cm
! - corrected total energy (MP2020 scheme) (eV per atom) = -7.799
! - mass density (Mg/m³) = 4.33
! - energy of formation (meV per atom) = -2631
&SYSTEM
  ibrav = 0, nat = 39, ntyp = 5
/
ATOMIC_SPECIES
Sr 87.62 Sr.upf
Ca 40.08 Ca.upf
Ti 47.87 Ti.upf
Mn 54.94 Mn.upf
O 16.00 O.upf
ATOMIC_POSITIONS angstrom
Sr 0.000 0.000 0.000
Ca 2.555 2.521 0.003
Ca 2.664 2.593 3.849
Ca 2.555 -2.521 0.003
Ca 5.067 0.000 3.838
Ca 2.664 -2.593 3.849
Ca 5.263 0.000 7.647
Ca 10.755 0.000 3.851
Ti 7.903 0.000 2.108
Mn 2.614 0.000 1.923
Mn 2.610 0.000 5.735
Mn 5.314 2.703 1.908
Mn 5.319 2.690 5.744
Mn 7.968 0.000 5.693
Mn 5.319 -2.690 5.744
Mn 5.314 -2.703 1.908
O 4.863 2.879 7.647
O 2.361 0.000 3.826
O 3.983 1.346 2.118
O 3.979 1.341 5.540
O 6.686 4.037 1.748
O 6.681 4.040 5.892
O 2.847 0.000 0.002
O 5.722 2.497 3.826
O 3.983 -1.346 2.118
O 3.979 -1.341 5.540
O 6.710 1.358 1.452
O 6.704 1.361 6.250
O 7.382 0.000 3.789
O 4.863 -2.879 7.647
O 9.367 1.343 2.216
O 9.365 1.346 5.368
O 6.710 -1.358 1.452
O 6.704 -1.361 6.250
O 5.722 -2.497 3.826
O 9.367 -1.343 2.216
O 6.686 -4.037 1.748
O 6.681 -4.040 5.892
O 9.365 -1.346 5.368
CELL_PARAMETERS angstrom
5.401 -5.421 0.000
5.401 5.421 0.000
-0.014 0.000 7.650



2.
! SrCa3TiMn3O12, relaxed, DFT PBE+U; values from VASP
! - energy (eV per atom) = -7.17
! - crystal system = monoclinic
! - symmetry = Cm
! - corrected total energy (MP2020 scheme) (eV per atom) = -7.832
! - mass density (Mg/m³) = 4.51
! - energy of formation (meV per atom) = -2709
&SYSTEM
  ibrav = 0, nat = 40, ntyp = 5
/
ATOMIC_SPECIES
Sr 87.62 Sr.upf
Ca 40.08 Ca.upf
Ti 47.87 Ti.upf
Mn 54.94 Mn.upf
O 16.00 O.upf
ATOMIC_POSITIONS angstrom
Sr 7.648 1.927 0.000
Sr 7.648 -1.927 0.000
Ca -3.758 1.937 7.629
Ca -0.030 1.917 3.883
Ca 3.897 1.935 3.900
Ca -0.030 -1.917 3.883
Ca -3.758 -1.937 7.629
Ca 3.897 -1.935 3.900
Ti 1.956 0.000 1.955
Ti 9.599 0.000 1.957
Mn -1.902 0.000 1.938
Mn -5.707 0.000 5.752
Mn -1.903 0.000 5.756
Mn 5.744 0.000 1.939
Mn 1.941 0.000 5.749
Mn 5.747 0.000 5.740
O 1.933 1.925 1.923
O -1.916 0.000 3.841
O -3.810 0.000 5.738
O -5.694 0.000 7.630
O -0.020 0.000 1.947
O 1.963 1.925 5.691
O 5.716 1.925 1.954
O 5.694 0.000 0.014
O 0.018 0.000 5.698
O 1.931 0.000 3.861
O 3.863 0.000 1.935
O 5.721 1.925 5.719
O 1.933 -1.925 1.923
O 5.738 0.000 3.834
O 3.838 0.000 5.735
O 7.630 0.000 1.949
O 1.959 0.000 7.628
O 1.963 -1.925 5.691
O 5.716 -1.925 1.954
O 13.321 0.000 0.006
O 7.665 0.000 5.707
O 11.511 0.000 1.937
O 9.587 0.000 3.863
O 5.721 -1.925 5.719
CELL_PARAMETERS angstrom
7.648 -3.850 0.000
7.648 3.850 0.000
-7.642 0.000 7.659



3.
! SrCa7Ti2Mn6O21, relaxed, DFT PBE+U; values from VASP
! - energy (eV per atom) = -7.28
! - crystal system = triclinic
! - symmetry = P1
! - corrected total energy (MP2020 scheme) (eV per atom) = -7.937
! - mass density (Mg/m³) = 3.90
! - energy of formation (meV per atom) = -2791
~~~

“Si, signore. They are back from the hospital. I just delivered their groceries.”

“Please, go get the spare key from my mother. I’ll call her and explain…”

I disconnect from Giorgio and connect with my mother. She sounds surprised to hear from me at this time of the day. I’d do anything not to worry her— she has enough stress in her life— but I can’t avoid it. I quickly tell her my concerns.

“I can’t leave your father on his own, dear. I’ll give the key to Giorgio. Maybe Sefi was in the shower and didn’t hear the doorbell?”

I press one hand to my forehead. Fear has made my skin cold. “Please ask Giorgio to call me as soon as he’s searched the apartment.”

“Will do. Try not to worry, son,” she says before disconnecting.

## Unrelated to this piece: records of crystals
........
Crystalline NdY3 at its relaxed geometry. Source: the Materials Project, functional r2SCAN.

The structure belongs to space group I4/mmm (No. 139); the cell edges are 5.145, 5.145 and 10.194 Å and the angles 90.00°, 90.00° and 90.00°. The distinct sites, in fractional coordinates, are Nd at (0.000, 0.000, 0.000), Y at (0.000, 0.000, 0.500) and Y at (0.000, 0.500, 0.250).

The calculation puts the excess energy over the best structure of this formula in the dataset at 1.38 kcal/mol of atoms. As for the total magnetization: 0.00 μB per cell. The value obtained for the electronic total energy is -22.516 eV/atom.

Crystalline ErSi2Rh3 at its relaxed geometry. Source: the Materials Project, functional r2SCAN.

The structure belongs to space group Imma (No. 74); the cell edges are 7.124, 9.531 and 5.508 Å and the angles 90.00°, 90.00° and 90.00°. The distinct sites, in fractional coordinates, are Er at (0.000, 0.250, 0.201), Si at (0.000, 0.078, 0.693), Rh at (0.214, 0.000, 0.000) and Rh at (0.250, 0.250, 0.750).

As for the total magnetization: 0.00 μB per cell. The value obtained for the electronic total energy is -21.775 eV/atom.

Crystalline TmNi4Au at its relaxed geometry. Source: the Materials Project, functional r2SCAN.

The structure belongs to space group F-43m (No. 216); the cell edges are 6.860, 6.860 and 6.860 Å and the angles 90.00°, 90.00° and 90.00°. The distinct sites, in fractional coordinates, are Tm at (0.000, 0.000, 0.000), Ni at (0.124, 0.124, 0.624) and Au at (0.250, 0.250, 0.250).

As for the total magnetization: 0.31 μB per cell. The value obtained for the electronic total energy is -22.665 eV/atom.

What is the formula in the second record? ErSi2Rh3

~~~~~

(1)
TiBeO3 | Materials Project | GGA-PBE | optimized geometry; E = -35.98 eV per cell; energy with MP2020 corrections = -0.5592 Ry per atom; total magnetization = 0.0 μB/f.u.; crystal system = cubic
1.0
3.389 0.000 0.000
0.000 3.389 0.000
0.000 0.000 3.389
Ti Be O
1 1 3
direct
0.000 0.000 0.000 Ti
0.500 0.500 0.500 Be
0.000 0.500 0.500 O
0.500 0.000 0.500 O
0.500 0.500 0.000 O

---

(2)
TmBeO3 | Materials Project | GGA-PBE | optimized geometry; E = -35.43 eV per cell; energy with MP2020 corrections = -0.5511 Ry per atom; total magnetization = 1.0 μB/f.u.; crystal system = cubic
1.0
3.537 0.000 0.000
0.000 3.537 0.000
0.000 0.000 3.537
Tm Be O
1 1 3
direct
0.000 0.000 0.000 Tm
0.500 0.500 0.500 Be
0.000 0.500 0.500 O
0.500 0.000 0.500 O
0.500 0.500 0.000 O
........

I wish to God we’d found a live-in nurse for Papà. We’ve interviewed so many applicants I’ve lost count. He hasn’t liked any of them, and it’s still an ongoing process. I drag my palms down the legs of my dress pants. There’s an empty feeling in the pit of my stomach. Please, God, let Sefi be there. I would so much prefer it be my mother who goes to check on her. Giorgio has only worked for my family for the past year. He’s an ex-fisherman from Pallestrina, an island lying south west of the Venice lido, and he has the social skills of a sardine.

My telefonino buzzes. Giorgio again. “I’m sorry, but I can’t find the signorina…”

My heart sinks.

“Are you sure she isn’t there?”

“One hundred percent.”

I grip the phone, my knuckles turning white. “I’ll get the helicopter to take me to the airport asap. Meet me with the boat.”

There’s an empty feeling in my chest.

I inhale a deep breath and place a call to Alessio.Chapter Twenty-FiveSefi – earlierI sleep late, only waking briefly to kiss Marco and Alessio before they leave for work. The comforter is warm and cozy and I’m tired after last night’s activities, so I drift off again. Eventually, I blink my eyes open to bright sunshine coming through a gap in the drapes. Thoughts whirl through my mind about the masquerade ball. It was even better than eating a box of chocolate liqueurs in one go. Sensory overload didn’t even begin to describe it, and also what happened with my filthies when we got home… the way they focused on me and gave me so much pleasure.